Sunday, February 21, 2010

Joys of Winter


I'd never slept in a snow cave, and I'd never gone snow shoeing. Luckily we did both.

I don't know how I'd never been snow shoeing, it just hadn't made sense when I could ski. But we snow shoed up and slept in a snow cave, and I some how survived the night. 

We built a fire and ate some delicious deserts.


Then we went and tried to sleep. Everyone else was successful. I've since learned from Bear Grylls that you loose most of your heat through the floor, and I was freezing all night. Everyone had something other than just tarp under them. I had freezing floor. It was a cold long night. But still totally worth it. 


For Presidents day (I think that was the holiday that just passed) we took a little trip out to the Spiral Jetty.


 More importantly we enjoyed ourselves out on the Great Salt Lake for a few hours. There was White as far as you could see. Most of which was covered with only a few inches of water, so you could walk really far out if you wanted. As great as it was to see the Spiral Jetty, I think I enjoyed playing out on the salt more.




We might have gone a little over board with our picture taking. It was just so great that we couldn't stop. I could have entertained myself for much longer than we already had.



Thanks to Berk we even had a great drive out to the Jetty, feeling like we were Indiana Jones in his Land Rover. Even though most of this adventure seemed to consist of driving, it was still great.


I feel like this is a Backstreet Boys album cover because of how everyone is standing. I'm pretty sure this was not planned. They just naturally stand this way?

We also had to take off our shoes once we got a certain distance out, Although most of us chose to role up our pants, Brynne apparently decided that wasn't an important thing for her to do.



This is what me an Brynne spent most of our time doing, and is probably what inspired every one else to come out and join us in the water. 


Even the over exposed photo's people took still ended up looking really great because everything was so white anyways.

We also stopped by the Golden Spike on the way home. That was a once in a life time hopefully. There was this little boy and his dad out there as well, I felt really bad for the little boy. I imagine he only wanted to hang out with his friends, but his dad wanted some bonding time, so his dad drove him on a really long drive to see the golden spike which isn't even there. It looked like a not as great of day for the two of them.

All in all it was quite a great day. I really enjoyed myself, and I'm pretty sure everyone else would call the day a success as well.

Here are a few photos I took while skiing this year. They are going on this post even though I'm not actually sure when they are from.

I do know that my friends rock at skiing.

Stain Reichman


Sean Tucker

Derrick Olthuis


  Jelissa Cameron

James Stewart


  1. so weird and jealous that your bonding without me

  2. Great Pictures Jeliss!!

Next to the entry, the page also holds records of crystals
-- begin --
Density functional theory data (GGA-PBE) for an optimized crystal structure of TcHOsPd2.

Properties
The value obtained for the total moment is 1.82 μB per cell. The space group is P4/mmm, No. 123. Its total DFT energy (no corrections) is -29.391 eV per cell.

a b c (Å): 4.951 3.076 4.951
angles (deg): 90.00 90.00 90.00
Last column: magnetic moment on the atom in μB.
Positions (direct):
Os 0.000 0.000 0.000  -0.18
Pd 0.000 0.000 0.500  -0.06
Tc 0.500 0.500 0.500  1.84
H 0.000 0.500 0.000  0.01
Pd 0.500 0.000 0.000  0.03

---

Density functional theory data (GGA-PBE) for an optimized crystal structure of TcHOsPd2.

Properties
The value obtained for the total moment is 2.07 μB per cell. The space group is P4/mmm, No. 123. Its total DFT energy (no corrections) is -25.974 eV per cell.

a b c (Å): 4.909 4.629 4.909
angles (deg): 90.00 90.00 90.00
Last column: magnetic moment on the atom in μB.
Positions (direct):
Pd 0.000 0.000 0.500  -0.08
Pd 0.500 0.000 0.000  0.00
Os 0.000 0.000 0.000  -0.07
Tc 0.000 0.500 0.000  1.51
H 0.500 0.500 0.500  0.26

---

Density functional theory data (GGA-PBE) for an optimized crystal structure of V2HOsPd.

Properties
The value obtained for the total moment is 0.00 μB per cell. The space group is P4/mmm, No. 123. Its total DFT energy (no corrections) is -38.561 eV per cell.

a b c (Å): 3.919 3.919 3.763
angles (deg): 90.00 90.00 90.00
Positions (direct):
Os 0.500 0.500 0.500
Pd 0.000 0.000 0.500
V 0.500 0.000 0.000
V 0.000 0.500 0.000
H 0.000 0.000 0.000

~~~~~

#a
The following is a DFT calculation (PBE) of an optimized crystal structure of BeAsCSe2.

POSCAR file:
```
BeAsCSe2
1.0
4.8504 0.0000 0.0000
0.0000 4.8504 0.0000
0.0000 0.0000 3.3920
Be As C Se
1 1 1 2
Direct
0.0000 0.0000 0.0000
0.5000 0.5000 0.5000
0.0000 0.0000 0.5000
0.0000 0.5000 0.0000
0.5000 0.0000 0.0000
```


#b
The following is a DFT calculation (PBE) of an optimized crystal structure of BeAsCSe2.

POSCAR file:
```
BeAsCSe2
1.0
4.4518 0.0000 0.0000
0.0000 4.4518 0.0000
0.0000 0.0000 4.1688
Be As C Se
1 1 1 2
Direct
0.0000 0.0000 0.0000
0.5000 0.5000 0.0000
0.5000 0.5000 0.5000
0.0000 0.5000 0.5000
0.5000 0.0000 0.5000
```


So which one is most stable? That would be #a, about 424 meV/atom below the next structure.


#a
The following is a DFT calculation (PBE) of an optimized crystal structure of CaBeAs.

POSCAR file:
```
CaBeAs
1.0
6.5644 0.0000 0.0000
0.0000 6.5644 0.0000
0.0000 0.0000 6.5644
Ca Be As
4 4 4
Direct
0.0000 0.0000 0.0000
0.0000 0.5000 0.5000
0.5000 0.0000 0.5000
0.5000 0.5000 0.0000
0.2500 0.2500 0.2500
0.2500 0.7500 0.7500
0.7500 0.2500 0.7500
0.7500 0.7500 0.2500
0.2500 0.2500 0.7500
0.2500 0.7500 0.2500
0.7500 0.2500 0.2500
0.7500 0.7500 0.7500
```


#b
The following is a DFT calculation (PBE) of an optimized crystal structure of CaBeAs.

POSCAR file:
```
CaBeAs
1.0
3.3878 0.0000 0.0000
0.0000 3.3878 0.0000
0.0000 0.0000 10.1303
Ca Be As
2 2 2
Direct
0.0000 0.0000 0.0000
0.5000 0.5000 0.5000
0.0000 0.0000 0.2856
-- stop --
The entry goes on

  3. Lame. I have not experienced anything fun like that. Seriously, how long I have lived in Utah and I really have never enjoyed the great salt lake. Man I am lame... O well at least you had fun and got some great photos.
